# Exercise
What is needed: find "Dy2 0.014" and "Br8 0.758" in the block further down, and return these two lines and those between.

# Material
=====
A plane-wave DFT calculation with GGA-PBE was carried out for crystalline Dy3CuBr3 at its relaxed geometry.

```
data_Dy3CuBr3
_chemical_formula_sum 'Dy12 Cu4 Br12'
_space_group_name_H-M_alt 'P 1'
_space_group_IT_number 1
_cell_length_a 10.022
_cell_length_b 10.022
_cell_length_c 10.022
_cell_angle_alpha 109.47
_cell_angle_beta 109.47
_cell_angle_gamma 109.47
loop_
_space_group_symop_operation_xyz
'x,y,z'
loop_
_atom_site_label
_atom_site_fract_x
_atom_site_fract_y
_atom_site_fract_z
Dy1 0.014 0.029 0.264
Dy2 0.014 0.486 0.750
Dy3 0.029 0.264 0.014
Dy4 0.236 0.264 0.750
Dy5 0.236 0.471 0.486
Dy6 0.264 0.014 0.029
Dy7 0.264 0.750 0.236
Dy8 0.471 0.486 0.236
Dy9 0.486 0.236 0.471
Dy10 0.486 0.750 0.014
Dy11 0.750 0.014 0.486
Dy12 0.750 0.236 0.264
Cu1 0.000 0.250 0.500
Cu2 0.250 0.250 0.250
Cu3 0.250 0.500 0.000
Cu4 0.500 0.000 0.250
Br1 0.250 0.758 0.742
Br2 0.250 0.992 0.508
Br3 0.508 0.250 0.992
Br4 0.508 0.758 0.516
Br5 0.516 0.508 0.758
Br6 0.742 0.250 0.758
Br7 0.742 0.992 0.984
Br8 0.758 0.516 0.508
Br9 0.758 0.742 0.250
Br10 0.984 0.742 0.992
Br11 0.992 0.508 0.250
Br12 0.992 0.984 0.742
```

Output
* DOS(E_F): 0.7636 states/eV per atom
* total energy: -4.381 eV per atom
* crystal system: cubic
* formation energy from raw total energies: -1.107 eV/atom

=====

A plane-wave DFT calculation with GGA-PBE was carried out for crystalline DyCuBr6 at its relaxed geometry.

```
data_DyCuBr6
_chemical_formula_sum 'Dy1 Cu1 Br6'
_space_group_name_H-M_alt 'P 1'
_space_group_IT_number 1
_cell_length_a 5.773
_cell_length_b 7.143
_cell_length_c 7.850
_cell_angle_alpha 70.18
_cell_angle_beta 73.14
_cell_angle_gamma 85.91
loop_
_space_group_symop_operation_xyz
'x,y,z'
loop_
_atom_site_label
_atom_site_fract_x
_atom_site_fract_y
_atom_site_fract_z
Dy1 0.000 0.000 0.000
Cu1 0.500 0.500 0.000
Br1 0.021 0.813 0.358
Br2 0.278 0.368 0.846
Br3 0.421 0.824 0.819
Br4 0.579 0.176 0.181
Br5 0.722 0.632 0.154
Br6 0.979 0.187 0.642
```

Output
* total energy: -3.261 eV per atom
* crystal system: triclinic
* formation energy from raw total energies: -0.919 eV/atom

=====

A plane-wave DFT calculation with GGA-PBE was carried out for crystalline DyCu2Br6 at its relaxed geometry.

```
data_DyCu2Br6
_chemical_formula_sum 'Dy2 Cu4 Br12'
_space_group_name_H-M_alt 'P 1'
_space_group_IT_number 1
_cell_length_a 9.965
_cell_length_b 9.965
_cell_length_c 7.054
_cell_angle_alpha 107.61
_cell_angle_beta 107.61
_cell_angle_gamma 80.61
loop_
_space_group_symop_operation_xyz
'x,y,z'
loop_
_atom_site_label
_atom_site_fract_x
_atom_site_fract_y
_atom_site_fract_z
Dy1 0.087 0.913 0.750
Dy2 0.913 0.087 0.250
Cu1 0.343 0.523 0.841
Cu2 0.477 0.657 0.659
Cu3 0.523 0.343 0.341
Cu4 0.657 0.477 0.159
Br1 0.052 0.182 0.671
Br2 0.118 0.650 0.836
Br3 0.182 0.052 0.171
Br4 0.322 0.457 0.462
Br5 0.350 0.882 0.664
Br6 0.457 0.322 0.962
Br7 0.543 0.678 0.038
Br8 0.650 0.118 0.336
Br9 0.678 0.543 0.538
Br10 0.818 0.948 0.829
Br11 0.882 0.350 0.164
Br12 0.948 0.818 0.329
```

Output
* DOS(E_F): 0.7658 states/eV per atom
* total energy: -3.516 eV per atom
* energy above the most stable polymorph in this dataset: 0 meV per atom
* crystal system: monoclinic
* formation energy from raw total energies: -0.979 eV/atom

=====

A plane-wave DFT calculation with GGA-PBE was carried out for crystalline Dy2CuBr2 at its relaxed geometry.

```
data_Dy2CuBr2
_chemical_formula_sum 'Dy2 Cu1 Br2'
_space_group_name_H-M_alt 'P 1'
_space_group_IT_number 1
_cell_length_a 11.364
_cell_length_b 11.364
_cell_length_c 11.364
_cell_angle_alpha 19.86
_cell_angle_beta 19.86
_cell_angle_gamma 19.86
loop_
_space_group_symop_operation_xyz
'x,y,z'
loop_
_atom_site_label
_atom_site_fract_x
_atom_site_fract_y
_atom_site_fract_z
Dy1 0.116 0.116 0.116
Dy2 0.884 0.884 0.884
Cu1 0.500 0.500 0.500
Br1 0.274 0.274 0.274
Br2 0.726 0.726 0.726
```

Output
* DOS(E_F): 0.7294 states/eV per atom
* total energy: -4.374 eV per atom
* crystal system: trigonal
* formation energy from raw total energies: -1.045 eV/atom

=====
=====

# Here it is
Dy2 0.014 0.486 0.750
Dy3 0.029 0.264 0.014
Dy4 0.236 0.264 0.750
Dy5 0.236 0.471 0.486
Dy6 0.264 0.014 0.029
Dy7 0.264 0.750 0.236
Dy8 0.471 0.486 0.236
Dy9 0.486 0.236 0.471
Dy10 0.486 0.750 0.014
Dy11 0.750 0.014 0.486
Dy12 0.750 0.236 0.264
Cu1 0.000 0.250 0.500
Cu2 0.250 0.250 0.250
Cu3 0.250 0.500 0.000
Cu4 0.500 0.000 0.250
Br1 0.250 0.758 0.742
Br2 0.250 0.992 0.508
Br3 0.508 0.250 0.992
Br4 0.508 0.758 0.516
Br5 0.516 0.508 0.758
Br6 0.742 0.250 0.758
Br7 0.742 0.992 0.984
Br8 0.758 0.516 0.508